What is needed: give back all of the contents below character by character.

Material: MgCdSi
Method: DFT, PBE-GGA
State: optimized geometry

Values from the calculation:
- SG: Fmm2
- Formation energy from raw total energies: 0.159 eV per atom
- Volume: 59.3 Å³/cell

abc: 6.625 6.649 3.075
angles: 76.17 77.04 26.79
Fractional coordinates of all 3 atoms:
Cd: 0.004 0.004 0.996
Mg: 0.324 0.324 0.676
Si: 0.672 0.672 0.328

* * * * *

Density functional theory data (PBE-GGA) for SrTiGe2 after structural relaxation.

Calculated values
- total DFT energy (no corrections) (eV/cell) = -77.22
- formation enthalpy at 0 K (meV per atom) = -123.6

Cell lengths 5.300, 5.300, 16.711 Å; angles 90.00, 90.00, 90.00 degrees
Space group I-42d (No. 122)
Unique sites:
1 Sr 0.000 0.000 0.000
2 Ti 0.000 0.000 0.500
3 Ge 0.074 0.250 0.625


Density functional theory data (PBE-GGA) for MgBeMo2 after structural relaxation.

Calculated values
- total DFT energy (no corrections) (eV/cell) = -52.07
- distance to the lowest polymorph of the same formula (kcal/mol of atoms) = 0.91
- formation enthalpy at 0 K (meV per atom) = 236.9

Cell lengths 3.273, 4.335, 8.503 Å; angles 90.00, 90.00, 90.00 degrees
Space group Cmm2 (No. 35)
Unique sites:
1 Mg 0.000 0.000 0.000
2 Be 0.000 0.500 0.755
3 Mo 0.000 0.000 0.542
4 Mo 0.000 0.500 0.281


Density functional theory data (PBE-GGA) for SrSi3PtRh after structural relaxation.

Calculated values
- total DFT energy (no corrections) (eV/cell) = -139.09

Cell lengths 6.433, 12.952, 5.898 Å; angles 90.00, 90.00, 90.00 degrees
Space group Cmcm (No. 63)
Unique sites:
1 Sr 0.000 0.232 0.250
2 Si 0.000 0.220 0.750
3 Si 0.216 0.500 0.000
4 Pt 0.000 0.394 0.750
5 Rh 0.000 0.051 0.750


Density functional theory data (PBE-GGA) for AgAs2F2 after structural relaxation.

Calculated values
- total DFT energy (no corrections) (eV/cell) = -36.64
- distance to the lowest polymorph of the same formula (kcal/mol of atoms) = 0.00

Cell lengths 6.569, 6.569, 3.892 Å; angles 90.00, 90.00, 90.00 degrees
Space group P4/mbm (No. 127)
Unique sites:
1 Ag 0.000 0.000 0.000
2 As 0.129 0.371 0.000
3 F 0.140 0.640 0.500


total DFT energy (no corrections) of number 2 (MgBeMo2)? -52.07 eV/cell

* * * * *

# PBE Ta2ReAu, relaxed
data_Ta2ReAu
_cell_length_a 4.6059
_cell_length_b 4.6059
_cell_length_c 4.6059
_cell_angle_alpha 60.00
_cell_angle_beta 60.00
_cell_angle_gamma 60.00
_symmetry_space_group_name_H-M 'P 1'
_symmetry_Int_Tables_number 1
_symmetry_space_group_name_Hall 'P 1'
loop_
_atom_site_label
_atom_site_fract_x
_atom_site_fract_y
_atom_site_fract_z
Re1 0.0000 0.0000 0.0000
Au1 0.5000 0.5000 0.5000
Ta1 0.2500 0.2500 0.2500
Ta2 0.7500 0.7500 0.7500
# Offset from the most stable computed form = 13.74 kJ/mol of atoms
# Electronic total energy = -39.287 eV per cell
# SG = No. 225
# Theoretical density = 17.9 g cm⁻³



# PBE TaRe3Au, relaxed
data_TaRe3Au
_cell_length_a 4.7312
_cell_length_b 4.7312
_cell_length_c 4.7312
_cell_angle_alpha 90.00
_cell_angle_beta 90.00
_cell_angle_gamma 90.00
_symmetry_space_group_name_H-M 'P 1'
_symmetry_Int_Tables_number 1
_symmetry_space_group_name_Hall 'P 1'
loop_
_atom_site_label
_atom_site_fract_x
_atom_site_fract_y
_atom_site_fract_z
Re1 0.0000 0.5000 0.0000
Re2 0.0000 0.0000 0.5000
Re3 0.5000 0.0000 0.0000
Au1 0.0000 0.0000 0.0000
Ta1 0.5000 0.5000 0.5000
# Offset from the most stable computed form = 44.89 kJ/mol of atoms
# Electronic total energy = -38.284 eV per cell
# SG = No. 221
# Theoretical density = 14.7 g cm⁻³



# PBE Ta3ReAu, relaxed
data_Ta3ReAu
_cell_length_a 4.8380
_cell_length_b 4.8380
_cell_length_c 4.8380
_cell_angle_alpha 90.00
_cell_angle_beta 90.00
_cell_angle_gamma 90.00
_symmetry_space_group_name_H-M 'P 1'
_symmetry_Int_Tables_number 1
_symmetry_space_group_name_Hall 'P 1'
loop_
_atom_site_label
_atom_site_fract_x
_atom_site_fract_y
_atom_site_fract_z
Re1 0.5000 0.5000 0.5000
Au1 0.0000 0.0000 0.0000
Ta1 0.0000 0.5000 0.0000
Ta2 0.0000 0.0000 0.5000
Ta3 0.5000 0.0000 0.0000
# Offset from the most stable computed form = 90.30 kJ/mol of atoms

Material: MgCdSi
Method: DFT, PBE-GGA
State: optimized geometry

Values from the calculation:
- SG: Fmm2
- Formation energy from raw total energies: 0.159 eV per atom
- Volume: 59.3 Å³/cell

abc: 6.625 6.649 3.075
angles: 76.17 77.04 26.79
Fractional coordinates of all 3 atoms:
Cd: 0.004 0.004 0.996
Mg: 0.324 0.324 0.676
Si: 0.672 0.672 0.328

* * * * *

Density functional theory data (PBE-GGA) for SrTiGe2 after structural relaxation.

Calculated values
- total DFT energy (no corrections) (eV/cell) = -77.22
- formation enthalpy at 0 K (meV per atom) = -123.6

Cell lengths 5.300, 5.300, 16.711 Å; angles 90.00, 90.00, 90.00 degrees
Space group I-42d (No. 122)
Unique sites:
1 Sr 0.000 0.000 0.000
2 Ti 0.000 0.000 0.500
3 Ge 0.074 0.250 0.625


Density functional theory data (PBE-GGA) for MgBeMo2 after structural relaxation.

Calculated values
- total DFT energy (no corrections) (eV/cell) = -52.07
- distance to the lowest polymorph of the same formula (kcal/mol of atoms) = 0.91
- formation enthalpy at 0 K (meV per atom) = 236.9

Cell lengths 3.273, 4.335, 8.503 Å; angles 90.00, 90.00, 90.00 degrees
Space group Cmm2 (No. 35)
Unique sites:
1 Mg 0.000 0.000 0.000
2 Be 0.000 0.500 0.755
3 Mo 0.000 0.000 0.542
4 Mo 0.000 0.500 0.281


Density functional theory data (PBE-GGA) for SrSi3PtRh after structural relaxation.

Calculated values
- total DFT energy (no corrections) (eV/cell) = -139.09

Cell lengths 6.433, 12.952, 5.898 Å; angles 90.00, 90.00, 90.00 degrees
Space group Cmcm (No. 63)
Unique sites:
1 Sr 0.000 0.232 0.250
2 Si 0.000 0.220 0.750
3 Si 0.216 0.500 0.000
4 Pt 0.000 0.394 0.750
5 Rh 0.000 0.051 0.750


Density functional theory data (PBE-GGA) for AgAs2F2 after structural relaxation.

Calculated values
- total DFT energy (no corrections) (eV/cell) = -36.64
- distance to the lowest polymorph of the same formula (kcal/mol of atoms) = 0.00

Cell lengths 6.569, 6.569, 3.892 Å; angles 90.00, 90.00, 90.00 degrees
Space group P4/mbm (No. 127)
Unique sites:
1 Ag 0.000 0.000 0.000
2 As 0.129 0.371 0.000
3 F 0.140 0.640 0.500


total DFT energy (no corrections) of number 2 (MgBeMo2)? -52.07 eV/cell

* * * * *

# PBE Ta2ReAu, relaxed
data_Ta2ReAu
_cell_length_a 4.6059
_cell_length_b 4.6059
_cell_length_c 4.6059
_cell_angle_alpha 60.00
_cell_angle_beta 60.00
_cell_angle_gamma 60.00
_symmetry_space_group_name_H-M 'P 1'
_symmetry_Int_Tables_number 1
_symmetry_space_group_name_Hall 'P 1'
loop_
_atom_site_label
_atom_site_fract_x
_atom_site_fract_y
_atom_site_fract_z
Re1 0.0000 0.0000 0.0000
Au1 0.5000 0.5000 0.5000
Ta1 0.2500 0.2500 0.2500
Ta2 0.7500 0.7500 0.7500
# Offset from the most stable computed form = 13.74 kJ/mol of atoms
# Electronic total energy = -39.287 eV per cell
# SG = No. 225
# Theoretical density = 17.9 g cm⁻³



# PBE TaRe3Au, relaxed
data_TaRe3Au
_cell_length_a 4.7312
_cell_length_b 4.7312
_cell_length_c 4.7312
_cell_angle_alpha 90.00
_cell_angle_beta 90.00
_cell_angle_gamma 90.00
_symmetry_space_group_name_H-M 'P 1'
_symmetry_Int_Tables_number 1
_symmetry_space_group_name_Hall 'P 1'
loop_
_atom_site_label
_atom_site_fract_x
_atom_site_fract_y
_atom_site_fract_z
Re1 0.0000 0.5000 0.0000
Re2 0.0000 0.0000 0.5000
Re3 0.5000 0.0000 0.0000
Au1 0.0000 0.0000 0.0000
Ta1 0.5000 0.5000 0.5000
# Offset from the most stable computed form = 44.89 kJ/mol of atoms
# Electronic total energy = -38.284 eV per cell
# SG = No. 221
# Theoretical density = 14.7 g cm⁻³



# PBE Ta3ReAu, relaxed
data_Ta3ReAu
_cell_length_a 4.8380
_cell_length_b 4.8380
_cell_length_c 4.8380
_cell_angle_alpha 90.00
_cell_angle_beta 90.00
_cell_angle_gamma 90.00
_symmetry_space_group_name_H-M 'P 1'
_symmetry_Int_Tables_number 1
_symmetry_space_group_name_Hall 'P 1'
loop_
_atom_site_label
_atom_site_fract_x
_atom_site_fract_y
_atom_site_fract_z
Re1 0.5000 0.5000 0.5000
Au1 0.0000 0.0000 0.0000
Ta1 0.0000 0.5000 0.0000
Ta2 0.0000 0.0000 0.5000
Ta3 0.5000 0.0000 0.0000
# Offset from the most stable computed form = 90.30 kJ/mol of atoms